Brief >
It remains to reproduce the lines further down up to the one that holds "0.3333 0.6667", that line included.

Listing >
┌──
Computed, not measured: AcPrAl after structural relaxation at the PBE level of DFT.

POSCAR file:
```
AcPrAl
1.0
5.3071 0.0000 0.0000
-2.6535 4.5960 0.0000
0.0000 0.0000 3.9732
Ac Pr Al
1 1 1
Direct
0.0000 0.0000 0.0000
0.6667 0.3333 0.4203
0.3333 0.6667 0.6402
```

## Properties
Offset from the most stable computed form: 0.070 eV/atom
Formation enthalpy at 0 K: -0.073 eV per atom
Calculated total energy: -4.28 eV/atom

* * * * *

Crystalline Tm2PuPaC4 at its relaxed geometry. Source: Alexandria via LeMat-Bulk, functional PBE.

abc: 3.5831 6.0753 6.1716
angles: 70.60 90.00 90.00
Site moments in Bohr magnetons follow the coordinates.
Fractional coordinates of all 8 atoms:
Tm: 0.0000 0.0000 0.0000  -0.07
Tm: 0.5000 0.0000 0.5000  -0.04
Pu: 0.0000 0.5000 0.5000  3.86
Pa: 0.5000 0.5000 0.0000  -0.17
C: 0.0000 0.7286 0.7493  -0.10
C: 0.0000 0.2714 0.2507  -0.10
└──

Written answer >
Computed, not measured: AcPrAl after structural relaxation at the PBE level of DFT.

POSCAR file:
```
AcPrAl
1.0
5.3071 0.0000 0.0000
-2.6535 4.5960 0.0000
0.0000 0.0000 3.9732
Ac Pr Al
1 1 1
Direct
0.0000 0.0000 0.0000
0.6667 0.3333 0.4203
0.3333 0.6667 0.6402